According to a 2010 report by the U.S. Department of Energy, Nebraska’s potential for the production of wind energy ranks third of all 50 states. Excluding urban areas, water features and protected wilderness, the report estimates that 91 percent of Nebraska’s land is available for wind energy production — with a 900,000-megawatt installed capacity. In comparison, Nebraska produced a dismal 293 megawatts via wind energy in 2010, accounting for less than one-half of 1 percent of the state’s energy consumption for that year. We can no longer live in the age of excessive energy consumption with little regard for the devastating environmental and human cost of our unsustainable addiction to fossil fuels.
In his State of the Union address, President Barack Obama highlighted the urgent need for America to reinvest in renewable energy, an industry he rightly proclaimed is "cleaner, cheaper and full of new jobs." America’s commitment to renewable energy would decrease our dependence on foreign oil, not only from the Organization of Petroleum Exporting Countries and the unstable regimes of which it is made up, but also from unconventional oil sources like the environmentally ravaging Canadian tar sands.
Skeptics who question the market viability, sustainability and potential of wind can look no further than our neighbor Iowa. In 2009, the Hawkeye state generated a nation-leading 15 percent, or 3,604 megawatts, of power by wind energy, up from 5 percent in 2006. The Iowa government’s action in the form of hundreds of millions of dollars in tax breaks, grants, other economic incentives and a streamlined regulatory process lured companies to the state. It spurred research into making technological advancements in the transmission, storage and management of the emerging wind energy market at campuses and labs across the state. The substantial long-term benefits of Iowa’s investment are the 8,400 expected jobs, greater environmentally conscious energy independence and billions of dollars in revenue.
********
C5H8O as an isolated structure in a non-equilibrium geometry. Source: the Open Molecules 2025 dataset; level of theory: the ωB97M-V functional and the def2-TZVPD basis.

```
14
Properties=species:S:1:pos:R:3:forces:R:3
O 0.7449 -0.2226 1.4006 0.2575 0.0587 -0.1320
C 0.6665 -0.9459 0.1634 0.5253 1.8756 -1.9198
C -1.1508 0.4493 0.1959 -0.1810 0.1357 0.0738
C -0.8317 -1.0453 -0.1209 0.1869 0.0565 -0.2507
C 1.1114 0.4584 -0.5781 -0.4987 0.2236 0.1396
C 0.2675 0.8887 0.5847 -0.3270 0.9775 0.2792
H 2.1894 0.6590 -0.4263 -0.5835 -0.3522 0.0469
H 0.4176 1.8568 1.0449 -0.2324 0.2321 0.2899
H 0.8370 0.6553 -1.6228 -0.2566 0.0032 0.3811
H 1.5252 -1.2782 -0.3585 0.6995 -3.2780 1.0504
H -1.8328 0.5850 1.0352 -0.0527 -0.1294 -0.0937
H -1.4199 -1.7228 0.5141 0.5991 0.0708 -0.0575
H -1.5291 0.9978 -0.6726 0.0258 -0.0192 0.1906
H -0.9952 -1.3356 -1.1595 -0.1622 0.1452 0.0022
```
Positions in Å, forces in eV/Å.

Summary:
energy above the lowest of the compared OMol25 structures with the same formula, charge and spin	3.069	eV
Kohn-Sham gap	10.546	eV

=====

A single C5H8O molecule. Source: the Open Molecules 2025 dataset; level of theory: the ωB97M-V functional and the def2-TZVPD basis.

```
14
Properties=species:S:1:pos:R:3:forces:R:3
O -0.1062 -0.1675 -1.4104 0.0398 -0.0973 0.0215
C -1.4625 0.4196 0.3615 0.0805 -0.0141 0.0436
C 1.5167 -0.4135 0.3431 0.1362 -0.1168 -0.0057
C 0.6765 0.5664 -0.4745 0.1419 0.0517 0.2119
C -0.3506 1.1348 0.4809 -0.2042 -0.0744 0.0236
C -1.2099 -0.6555 -0.6721 -0.2489 -0.2021 0.0903
H -0.9350 -1.5828 -0.1212 -0.2578 0.1796 -0.3526
H -2.3500 0.4626 0.9815 0.1019 0.0500 -0.0654
H -0.0989 1.8472 1.2589 -0.1792 0.0910 -0.2266
H 2.2352 -0.9565 -0.2686 0.1188 0.1244 -0.0496
H 2.0270 0.0844 1.1733 -0.0137 -0.0816 -0.1337
H 0.8142 -1.1512 0.7541 0.3786 0.1705 0.1136
H 1.2566 1.3099 -1.0380 -0.0551 -0.2322 0.2349
H -2.0133 -0.8980 -1.3684 -0.0388 0.1513 0.0942
```
Positions in Å, forces in eV/Å.

Summary:
energy above the lowest of the compared OMol25 structures with the same formula, charge and spin	1.257	eV
Kohn-Sham gap	10.381	eV
SMILES string	C[C@@H]1C=CCO1

=====

C5H8O as an isolated structure. Source: the Open Molecules 2025 dataset; level of theory: the ωB97M-V functional and the def2-TZVPD basis.

```
14
Properties=species:S:1:pos:R:3:forces:R:3
O -0.4877 1.6980 0.1513 -0.0691 -0.1098 0.1710
C -1.0026 1.3621 -1.0792 -0.2396 -0.0242 -0.1636
C -0.0759 -2.0392 0.6154 -0.0074 0.0100 0.1608
C 0.8324 1.5950 -0.4789 0.3439 0.0325 0.0867
C 0.1287 1.2805 -1.7756 -0.2223 0.1811 0.0222
C -0.0975 -1.8483 1.9296 0.0040 -0.0384 -0.1582
H 1.4013 2.5264 -0.4099 -0.1938 -0.0683 0.0389
H 0.8201 -2.3786 0.1008 -0.1153 0.0533 0.0918
H 1.3632 0.7746 0.0116 0.0399 0.0821 -0.2001
H -0.9954 -1.5150 2.4440 0.1259 -0.0228 -0.1060
H -2.0645 1.2137 -1.2333 0.0683 0.1495 0.0701
H -0.9550 -1.8693 -0.0017 0.1283 0.0010 0.1044
H 0.3532 1.2223 -2.8227 0.2492 -0.2690 0.0013
H 0.7798 -2.0221 2.5485 -0.1122 0.0229 -0.1195
```
Positions in Å, forces in eV/Å.

Summary:
********
The page goes on.
This should intensify opposition to the possibility that the Nebraska Public Power District Board of Directors, the publicly owned utility company operating in 91 of Nebraska’s 93 counties, could invest $1.5 billion into retrofitting the coal-fired Gerald Gentleman Station. Sens. Heath Mello and Ken Haar sent a letter to NPPD’s board urging research of alternatives, partially because there is no such thing as clean coal. Aside from contributing to global warming, coal production and consumption leak harmful carcinogens such as mercury, lead, arsenic and sulfur into the air and soil.
Nebraska should invest that substantial amount of money into sustainable wind energy. At the current market price, a commercial-scale 2-megawatt wind turbine costs roughly $3 million. However, smaller 10-kilowatt wind turbines, the size needed to power an average house or small farm, can range between $35,000-$50,000. A $1.5 billion investment in wind energy could not only establish 500 wind turbines — tripling Nebraska’s 2010 wind energy production (enough to power 250,000 homes) — but also would create thousands of green Nebraska jobs.
It is time for Nebraskans to stand up for a cleaner and smarter future. The public outrage and protest surrounding the ultimately doomed TransCanada Keystone XL pipeline demonstrates the public mandate and commitment to an investment in alternative energy. The environmental footprint of wind farm compared to any other current form of energy is undeniable. Direct action is needed; Write, call, email and visit elected officials (NPPD directors are publicly elected) to advocate for change we can afford.
Harvesting Nebraska’s wind potential would boost the economy, create thousands of jobs, give rural communities greater energy independence, preserve the state’s environment and set the state on a sustainable trajectory for future generations. However, forward progress ultimately relies on audacious leadership by Nebraska’s elected officials. The Legislature should decrease drastically, or eliminate completely, the subsidies given to the ethanol industry, which provides only a marginally better alternative to crude. Instead, subsidize and help mature a wind energy industry in its infancy that has the potential to revolutionize and reinvent Nebraska.
-- Attached: quantum chemistry results --
┌──
Entry 1:
The following is a quantum chemistry calculation of a 6-piece molecular cluster, C47H92Br2F3IN5O7 overall, from the Open Molecules 2025 dataset.

XYZ file:
```
157
C47H92Br2F3IN5O7, DFT the ωB97M-V functional and the def2-TZVPD basis
C 4.3756 -0.5688 1.4485
C 4.5579 0.1282 0.0873
C 3.8471 1.4848 -0.0195
C 3.0973 1.6932 -1.3333
C 2.1674 2.9201 -1.3162
C 0.6923 2.5619 -1.4730
C 0.2643 1.6835 -0.3053
N -1.2011 1.5463 -0.1121
C -1.7005 0.6243 -1.0242
N -2.1816 0.9662 -2.1824
I -2.4329 2.8524 -2.8959
N -1.7531 -0.6420 -0.5264
C -1.9017 -1.8036 -1.4002
C -3.1802 -1.8463 -2.2816
C -3.7417 -3.2187 -2.5978
F -4.3514 -3.7441 -1.5018
Br -5.1118 -2.9743 -3.9785
C -2.7478 -4.2933 -3.1034
F -1.9955 -4.6890 -2.0642
F -3.4197 -5.3534 -3.5501
Br -1.6041 -3.6419 -4.5174
C -2.4296 -0.3809 0.7918
N -3.8228 -0.0587 0.3859
C -2.4913 -1.5023 1.8674
C -2.1100 -2.9326 1.5368
C -3.1260 -3.8513 1.2882
C -2.8442 -5.1845 1.0175
C -1.5286 -5.6095 0.9828
C -0.5077 -4.7081 1.2370
C -0.7902 -3.3860 1.5226
C -1.7027 0.9911 1.2095
C -0.6603 0.9918 2.3582
C 0.4178 -0.0930 2.5807
N 1.2083 -0.5741 1.4624
C -2.7714 2.0165 1.6557
C -2.1982 3.4034 1.9204
O -3.1216 4.4299 1.5435
C -4.2573 4.4773 2.2996
C -5.5508 4.3228 1.5641
O -4.2188 4.6581 3.4847
H 5.3318 -0.8914 1.8493
H 3.7464 -1.4524 1.3764
H 3.9369 0.1144 2.1763
H 4.2469 -0.5314 -0.7221
H 5.6242 0.2989 -0.0470
H 3.1574 1.6257 0.8194
H 4.5785 2.2901 0.0603
H 2.5253 0.7884 -1.5610
H 3.8285 1.7963 -2.1341
H 2.3117 3.4527 -0.3736
H 2.4619 3.6023 -2.1117
H 0.5857 2.0087 -2.4087
H 0.1086 3.4781 -1.4874
H 0.7003 2.0871 0.6011
H 0.6972 0.6972 -0.4564
H -2.5895 0.2491 -2.7606
H -1.7935 -2.7123 -0.8238
H -1.0451 -1.8007 -2.0753
H -2.9658 -1.4038 -3.2544
H -3.9996 -1.2724 -1.8531
H -4.3345 0.3194 1.1739
H -4.2773 -0.9482 0.1931
H -3.5340 -1.5433 2.1744
H -1.9642 -1.1947 2.7610
H -4.1585 -3.5281 1.3281
H -3.6495 -5.8833 0.8355
H -1.2990 -6.6414 0.7719
H 0.5204 -5.0401 1.2255
H 0.0330 -2.7344 1.7517
H -0.1364 1.9437 2.3034
H -1.2433 1.0480 3.2783
H 0.0012 -0.9506 3.1002
H 1.1343 0.3284 3.2859
H 0.6471 -0.8991 0.6899
H 1.8857 0.1004 1.1416
H -3.2800 1.6451 2.5488
H -3.5094 2.1214 0.8670
H -1.2982 3.5880 1.3449
H -1.9836 3.5394 2.9804
H -5.9099 5.2825 1.1949
H -6.2896 3.9152 2.2457
H -5.4656 3.6623 0.7026
C 8.6498 -4.1236 -1.7143
C 7.3792 -3.5839 -1.0810
O 7.1597 -2.2031 -1.3121
C 7.0216 -1.8132 -2.6641
C 5.8445 -2.4589 -3.3770
H 9.5102 -3.5284 -1.4068
H 8.8103 -5.1555 -1.4020
H 8.6038 -4.1118 -2.8042
H 7.4370 -3.6780 0.0034
H 6.5115 -4.1711 -1.4052
H 7.9491 -1.9965 -3.2182
H 6.8821 -0.7319 -2.6308
H 5.9770 -3.5350 -3.4955
H 5.7311 -2.0290 -4.3727
H 4.9235 -2.2938 -2.8144
C 2.8455 -4.1742 3.7618
C 4.2065 -4.3403 3.1046
O 5.1053 -3.2815 3.3688
C 5.4554 -3.0815 4.7269
C 6.1566 -4.2670 5.3671
H 2.4148 -3.2056 3.4979
H 2.1700 -4.9619 3.4250
H 2.9043 -4.2339 4.8492
H 4.0903 -4.3425 2.0196
H 4.6500 -5.3044 3.3783
H 4.5744 -2.7962 5.3142
H 6.1226 -2.2194 4.7183
H 5.4984 -5.1321 5.4602
H 6.4953 -4.0019 6.3685
H 7.0209 -4.5640 4.7723
└──
-- The article goes on --
Justin Tolston is a senior political science major, 99 percenter and intern at Planned Parenthood,